**What to do**
It remains to give back every line below that contains the word "Element".

**Listing**
/*
Density functional theory data (PBE) for an optimized crystal structure of Pm9Er4In11.

Unit cell a=3.516 b=13.964 c=13.964 alpha=99.65 beta=90.00 gamma=90.00
Element x y z (fractional)
Pm1 0.500 0.626 0.143
Pm2 0.500 0.374 0.857
Pm3 0.500 0.143 0.626
Pm4 0.500 0.857 0.374
Pm5 0.500 0.791 0.965
Pm6 0.500 0.209 0.035
Pm7 0.500 0.965 0.791
Pm8 0.500 0.035 0.209
Pm9 0.500 0.500 0.500
Er1 0.500 0.568 0.736
Er2 0.500 0.432 0.264
Er3 0.500 0.736 0.568
Er4 0.500 0.264 0.432
In1 0.000 0.579 0.931
In2 0.000 0.421 0.069
In3 0.000 0.931 0.579
In4 0.000 0.069 0.421
In5 0.000 0.635 0.365
In6 0.000 0.365 0.635
In7 0.000 0.833 0.167
In8 0.000 0.167 0.833
In9 0.000 0.000 0.000
In10 0.000 0.761 0.761
In11 0.000 0.239 0.239

Summary:
**Formation energy**: -9.67 eV per formula unit
**D(E_F)**: 0.85 states/eV/atom
**Total DFT energy (no corrections)**: -4.20 eV/atom
**Total magnetic moment**: 0.00 μB per cell

* * * * *

An optimized crystal structure of LiTbS2O8, computed with PBE.

```
LiTbS2O8
1.0
7.5884 0.0000 0.0000
0.0000 7.5884 0.0000
0.0000 0.0000 6.0036
Li Tb S O
2 2 4 16
Direct
0.0000 0.5000 0.2500
0.5000 0.0000 0.7500
0.0000 0.5000 0.7500
0.5000 0.0000 0.2500
0.2231 0.2769 0.2500
0.2769 0.7769 0.7500
0.7231 0.2231 0.7500
0.7769 0.7231 0.2500
0.0941 0.3213 0.4337
0.0936 0.7948 0.8313
0.1787 0.4059 0.0663
0.2052 0.0936 0.1687
0.2948 0.5936 0.6687
0.3213 0.9059 0.5663
0.4064 0.2948 0.3313
0.4059 0.8213 0.9337
0.5941 0.1787 0.9337
0.5936 0.7052 0.3313
0.6787 0.0941 0.5663
0.7052 0.4064 0.6687
0.7948 0.9064 0.1687
0.8213 0.5941 0.0663
0.9064 0.2052 0.8313
0.9059 0.6787 0.4337
```

Summary:
* total energy: -155.41 eV for the cell shown
* total magnetic moment: 0.0 μB per cell
* uncorrected formation energy: -1937 meV per atom
*/

**Done**
Element x y z (fractional)